_Excerpt_
+++
Diffraction record for Mg8SiPt2. The PXRD pattern is theoretical, not measured: it uses a DFT-relaxed cell (GGA-PBE, Alexandria) and Cu Kα X-rays.

```
Mg8SiPt2
1.0
-2.255 3.350 6.847
2.255 -3.350 6.847
2.255 3.350 -6.847
Mg Si Pt
8 1 2
direct
0.116 0.343 0.773
0.168 0.168 0.000
0.290 0.000 0.290
0.430 0.657 0.773
0.570 0.343 0.227
0.710 0.000 0.710
0.832 0.832 0.000
0.884 0.657 0.227
0.000 0.500 0.500
0.320 0.820 0.500
0.680 0.180 0.500
```

Largest 10 diffraction maxima, in order of falling intensity, 10 to 80 degrees two-theta:
2θ (°)	intensity
38.87	100
23.78	65
23.58	63
12.93	52
27.81	30
39.99	25
14.72	24
47.35	23
39.48	22
+++

_Request_
The reader should find "1.0" and "0.000 0.500" in the listing further up, and give back these two lines and those between.

_Result_
1.0
-2.255 3.350 6.847
2.255 -3.350 6.847
2.255 3.350 -6.847
Mg Si Pt
8 1 2
direct
0.116 0.343 0.773
0.168 0.168 0.000
0.290 0.000 0.290
0.430 0.657 0.773
0.570 0.343 0.227
0.710 0.000 0.710
0.832 0.832 0.000
0.884 0.657 0.227
0.000 0.500 0.500